-- What to do --
What is needed: give back the lines further down up to the one that holds "Fe: 0.5000", that line included.

-- Data --
____________
Computed, not measured: an optimized crystal structure of FeRuBr at the PBE-GGA level of DFT.

Values from the calculation:
The calculation puts the magnetic moment at 4.2 μB/f.u. Its uncorrected formation energy is 0.691 eV/atom. The calculation puts the total DFT energy (no corrections) at -5.780 eV/atom.

a = 6.5430 Å, b = 6.2165 Å, c = 3.1167 Å
α = 81.77°, β = 70.10°, γ = 28.13°
Closest atoms and distances in Å follow each position.
Positions (direct):
Br: 0.0077 0.0077 0.9923  2 Fe 2.62, 2 Ru 2.84
Fe: 0.6769 0.6769 0.3231  2 Ru 2.35, 2 Br 2.62
Ru: 0.3154 0.3154 0.6846  2 Fe 2.35

Computed, not measured: an optimized crystal structure of FeRuBr at the PBE-GGA level of DFT.

Values from the calculation:
The calculation puts the magnetic moment at 3.3 μB/f.u. Its uncorrected formation energy is 0.689 eV/atom. The calculation puts the total DFT energy (no corrections) at -5.782 eV/atom.

a = 5.7641 Å, b = 5.7639 Å, c = 5.7639 Å
α = 149.44°, β = 149.43°, γ = 43.77°
Closest atoms and distances in Å follow each position.
Positions (direct):
Ru: 0.6840 0.6843 0.9998  4 Fe 2.55
Br: 0.0030 0.0032 0.9999  4 Ru 2.89, 4 Fe 2.96, 4 Br 3.04
Fe: 0.3129 0.3126 0.0004  4 Ru 2.55

Computed, not measured: an optimized crystal structure of FeRu2Br at the PBE-GGA level of DFT.

Values from the calculation:
The calculation puts the magnetic moment at 2.8 μB/f.u. Its uncorrected formation energy is 0.955 eV/atom. The calculation puts the total DFT energy (no corrections) at -6.217 eV/atom.

a = 4.3866 Å, b = 4.3866 Å, c = 4.3866 Å
α = 60.00°, β = 60.00°, γ = 60.00°
Closest atoms and distances in Å follow each position.
Positions (direct):
Br: 0.5000 0.5000 0.5000  4 Fe 2.69, 4 Ru 2.69
Ru: 0.0000 0.0000 0.0000  4 Ru 2.69, 4 Fe 2.69
Ru: 0.2500 0.2500 0.2500  4 Br 2.69, 4 Ru 2.69
Fe: 0.7500 0.7500 0.7500  4 Ru 2.69, 4 Br 2.69

Computed, not measured: an optimized crystal structure of Fe2RuBr at the PBE-GGA level of DFT.

Values from the calculation:
The calculation puts the magnetic moment at 7.1 μB/f.u. Its uncorrected formation energy is 0.869 eV/atom. The calculation puts the total DFT energy (no corrections) at -6.099 eV/atom.

a = 4.1513 Å, b = 3.7997 Å, c = 3.7997 Å
α = 90.00°, β = 90.00°, γ = 90.00°
Closest atoms and distances in Å follow each position.
Positions (direct):
Br: 0.5000 0.0000 0.5000  4 Ru 2.69, 8 Fe 2.81
Ru: 0.5000 0.5000 0.0000  4 Br 2.69, 8 Fe 2.81
Fe: 0.0000 0.0000 0.0000  4 Fe 2.69, 4 Br 2.81, 4 Ru 2.81
Fe: 0.0000 0.5000 0.5000  4 Fe 2.69, 4 Br 2.81, 4 Ru 2.81

Computed, not measured: an optimized crystal structure of Fe2RuBr at the PBE-GGA level of DFT.

Values from the calculation:
The calculation puts the magnetic moment at 5.5 μB/f.u. Its uncorrected formation energy is 0.426 eV/atom. The calculation puts the total DFT energy (no corrections) at -6.542 eV/atom.

a = 3.0462 Å, b = 3.1049 Å, c = 6.8835 Å
α = 89.78°, β = 90.00°, γ = 90.00°
Closest atoms and distances in Å follow each position.
Positions (direct):
Ru: 0.0000 0.7505 0.4306  5 Fe 2.50-2.56, 2 Br 2.72
Fe: 0.5000 0.2523 0.2517  4 Ru 2.50, 4 Fe 2.55
Fe: 0.0000 0.7539 0.0589  4 Fe 2.55, 1 Ru 2.56, 2 Br 2.57
Br: 0.5000 0.7432 0.7587  2 Fe 2.57, 2 Ru 2.72

Computed, not measured: an optimized crystal structure of Fe2RuBr at the PBE-GGA level of DFT.

Values from the calculation:
The calculation puts the magnetic moment at 3.0 μB/f.u. Its uncorrected formation energy is 1.030 eV/atom. The calculation puts the total DFT energy (no corrections) at -5.938 eV/atom.

a = 5.6961 Å, b = 5.6961 Å, c = 6.1627 Å
α = 62.47°, β = 62.47°, γ = 90.00°
Closest atoms and distances in Å follow each position.
Positions (direct):
Ru: 0.7500 0.2500 0.5000  4 Fe 2.26
Ru: 0.0000 0.0000 0.0000  4 Fe 2.26
Fe: 0.6449 0.1250 0.2500  2 Ru 2.26, 2 Br 2.40
Fe: 0.1051 0.6250 0.2500  2 Ru 2.26, 2 Br 2.40
Fe: 0.8750 0.8949 0.7500  2 Ru 2.26, 2 Br 2.40
Fe: 0.3750 0.3551 0.7500  2 Ru 2.26, 2 Br 2.40
Br: 0.2500 0.7500 0.5000  4 Fe 2.40
Br: 0.5000 0.5000 0.0000  4 Fe 2.40
____________

-- Response --
Computed, not measured: an optimized crystal structure of FeRuBr at the PBE-GGA level of DFT.

Values from the calculation:
The calculation puts the magnetic moment at 4.2 μB/f.u. Its uncorrected formation energy is 0.691 eV/atom. The calculation puts the total DFT energy (no corrections) at -5.780 eV/atom.

a = 6.5430 Å, b = 6.2165 Å, c = 3.1167 Å
α = 81.77°, β = 70.10°, γ = 28.13°
Closest atoms and distances in Å follow each position.
Positions (direct):
Br: 0.0077 0.0077 0.9923  2 Fe 2.62, 2 Ru 2.84
Fe: 0.6769 0.6769 0.3231  2 Ru 2.35, 2 Br 2.62
Ru: 0.3154 0.3154 0.6846  2 Fe 2.35

Computed, not measured: an optimized crystal structure of FeRuBr at the PBE-GGA level of DFT.

Values from the calculation:
The calculation puts the magnetic moment at 3.3 μB/f.u. Its uncorrected formation energy is 0.689 eV/atom. The calculation puts the total DFT energy (no corrections) at -5.782 eV/atom.

a = 5.7641 Å, b = 5.7639 Å, c = 5.7639 Å
α = 149.44°, β = 149.43°, γ = 43.77°
Closest atoms and distances in Å follow each position.
Positions (direct):
Ru: 0.6840 0.6843 0.9998  4 Fe 2.55
Br: 0.0030 0.0032 0.9999  4 Ru 2.89, 4 Fe 2.96, 4 Br 3.04
Fe: 0.3129 0.3126 0.0004  4 Ru 2.55

Computed, not measured: an optimized crystal structure of FeRu2Br at the PBE-GGA level of DFT.

Values from the calculation:
The calculation puts the magnetic moment at 2.8 μB/f.u. Its uncorrected formation energy is 0.955 eV/atom. The calculation puts the total DFT energy (no corrections) at -6.217 eV/atom.

a = 4.3866 Å, b = 4.3866 Å, c = 4.3866 Å
α = 60.00°, β = 60.00°, γ = 60.00°
Closest atoms and distances in Å follow each position.
Positions (direct):
Br: 0.5000 0.5000 0.5000  4 Fe 2.69, 4 Ru 2.69
Ru: 0.0000 0.0000 0.0000  4 Ru 2.69, 4 Fe 2.69
Ru: 0.2500 0.2500 0.2500  4 Br 2.69, 4 Ru 2.69
Fe: 0.7500 0.7500 0.7500  4 Ru 2.69, 4 Br 2.69

Computed, not measured: an optimized crystal structure of Fe2RuBr at the PBE-GGA level of DFT.

Values from the calculation:
The calculation puts the magnetic moment at 7.1 μB/f.u. Its uncorrected formation energy is 0.869 eV/atom. The calculation puts the total DFT energy (no corrections) at -6.099 eV/atom.

a = 4.1513 Å, b = 3.7997 Å, c = 3.7997 Å
α = 90.00°, β = 90.00°, γ = 90.00°
Closest atoms and distances in Å follow each position.
Positions (direct):
Br: 0.5000 0.0000 0.5000  4 Ru 2.69, 8 Fe 2.81
Ru: 0.5000 0.5000 0.0000  4 Br 2.69, 8 Fe 2.81
Fe: 0.0000 0.0000 0.0000  4 Fe 2.69, 4 Br 2.81, 4 Ru 2.81
Fe: 0.0000 0.5000 0.5000  4 Fe 2.69, 4 Br 2.81, 4 Ru 2.81

Computed, not measured: an optimized crystal structure of Fe2RuBr at the PBE-GGA level of DFT.

Values from the calculation:
The calculation puts the magnetic moment at 5.5 μB/f.u. Its uncorrected formation energy is 0.426 eV/atom. The calculation puts the total DFT energy (no corrections) at -6.542 eV/atom.

a = 3.0462 Å, b = 3.1049 Å, c = 6.8835 Å
α = 89.78°, β = 90.00°, γ = 90.00°
Closest atoms and distances in Å follow each position.
Positions (direct):
Ru: 0.0000 0.7505 0.4306  5 Fe 2.50-2.56, 2 Br 2.72
Fe: 0.5000 0.2523 0.2517  4 Ru 2.50, 4 Fe 2.55